[1]
A plane-wave DFT calculation with PBE was carried out for a relaxed structure of Y2NiIr.

abc: 4.838 4.838 4.838
angles: 60.00 60.00 60.00
Atoms (fractional coordinates):
1 Y 0.250 0.250 0.250
2 Y 0.750 0.750 0.750
3 Ni 0.000 0.000 0.000
4 Ir 0.500 0.500 0.500

Output
Space-group type = Fm-3m
ΔE_f = -0.63 eV per atom

***

[2]
A plane-wave DFT calculation with PBE was carried out for a relaxed structure of Na2SnH14S3O7.

abc: 7.231 9.728 10.322
angles: 92.45 92.07 107.49
Atoms (fractional coordinates):
1 Na 0.195 0.142 0.553
2 Na 0.805 0.858 0.447
3 Na 0.405 0.029 0.847
4 Na 0.595 0.971 0.153
5 Sn 0.073 0.412 0.120
6 Sn 0.927 0.588 0.880
7 H 0.060 0.073 0.285
8 H 0.940 0.927 0.715
9 H 0.240 0.749 0.230
10 H 0.760 0.251 0.770
11 H 0.078 0.667 0.433
12 H 0.922 0.333 0.567
13 H 0.453 0.316 0.748
14 H 0.547 0.684 0.252
15 H 0.565 0.353 0.500
16 H 0.435 0.647 0.500
17 H 0.330 0.159 0.080
18 H 0.670 0.841 0.920
19 H 0.448 0.336 0.368
20 H 0.552 0.664 0.632
21 H 0.554 0.098 0.393
22 H 0.446 0.902 0.607
23 H 0.042 0.358 0.442
24 H 0.958 0.642 0.558
25 H 0.258 0.299 0.813
26 H 0.742 0.701 0.187
27 H 0.775 0.137 0.408
28 H 0.225 0.863 0.592
29 H 0.551 0.240 0.064
30 H 0.449 0.760 0.936
31 H 0.146 0.947 0.309
32 H 0.854 0.053 0.691
33 H 0.169 0.834 0.120
34 H 0.831 0.166 0.880
35 S 0.010 0.161 0.089
36 S 0.990 0.839 0.911
37 S 0.242 0.538 0.314
38 S 0.758 0.462 0.686
39 S 0.772 0.478 0.078
40 S 0.228 0.522 0.922
41 O 0.660 0.058 0.374
42 O 0.340 0.942 0.626
43 O 0.028 0.719 0.501
44 O 0.972 0.281 0.499
45 O 0.472 0.282 0.440
46 O 0.528 0.718 0.560
47 O 0.083 0.011 0.355
48 O 0.917 0.989 0.645
49 O 0.251 0.847 0.201
50 O 0.749 0.153 0.799
51 O 0.326 0.245 0.761
52 O 0.674 0.755 0.239
53 O 0.457 0.143 0.063
54 O 0.543 0.857 0.937

Output
Space-group type = P-1
ΔE_f = -1.22 eV per atom

***

[3]
A plane-wave DFT calculation with PBE was carried out for a relaxed structure of Y8Te3.

abc: 15.810 15.810 24.583
angles: 57.50 57.50 14.81
Atoms (fractional coordinates):
1 Y 0.489 0.489 0.432
2 Y 0.511 0.511 0.568
3 Y 0.666 0.666 0.155
4 Y 0.334 0.334 0.845
5 Y 0.792 0.792 0.133
6 Y 0.208 0.208 0.867
7 Y 0.126 0.126 0.068
8 Y 0.874 0.874 0.932
9 Y 0.803 0.803 0.751
10 Y 0.197 0.197 0.249
11 Y 0.935 0.935 0.056
12 Y 0.065 0.065 0.944
13 Y 0.908 0.908 0.411
14 Y 0.092 0.092 0.589
15 Y 0.829 0.829 0.341
16 Y 0.171 0.171 0.659
17 Y 0.780 0.780 0.605
18 Y 0.220 0.220 0.395
19 Y 0.920 0.920 0.573
20 Y 0.080 0.080 0.427
21 Y 0.265 0.265 0.039
22 Y 0.735 0.735 0.961
23 Y 0.954 0.954 0.720
24 Y 0.046 0.046 0.280
25 Y 0.701 0.701 0.529
26 Y 0.299 0.299 0.471
27 Y 0.349 0.349 0.199
28 Y 0.651 0.651 0.801
29 Y 0.509 0.509 0.090
30 Y 0.491 0.491 0.910
31 Y 0.440 0.440 0.282
32 Y 0.560 0.560 0.718
33 Te 0.630 0.630 0.472
34 Te 0.370 0.370 0.528
35 Te 0.372 0.372 0.031
36 Te 0.628 0.628 0.969
37 Te 0.928 0.928 0.192
38 Te 0.072 0.072 0.808
39 Te 0.555 0.555 0.177
40 Te 0.445 0.445 0.823
41 Te 0.606 0.606 0.314
42 Te 0.394 0.394 0.686
43 Te 0.759 0.759 0.280
44 Te 0.241 0.241 0.720

Output
Space-group type = C2/m
ΔE_f = -0.85 eV per atom

***

[4]
A plane-wave DFT calculation with PBE was carried out for a relaxed structure of Tm2TiO5.

abc: 6.336 6.336 7.501
angles: 68.69 68.69 49.05
Atoms (fractional coordinates):
1 Tm 0.369 0.355 0.749
2 Tm 0.355 0.369 0.249
3 Tm 0.645 0.631 0.751
4 Tm 0.631 0.645 0.251
5 Ti 0.000 0.000 0.500
6 Ti 0.000 0.000 0.000
7 O 0.248 0.608 0.955
8 O 0.608 0.248 0.455
9 O 0.973 0.686 0.641
10 O 0.314 0.027 0.859
11 O 0.686 0.973 0.141
12 O 0.027 0.314 0.359
13 O 0.392 0.752 0.545
14 O 0.828 0.172 0.750
15 O 0.752 0.392 0.045
16 O 0.172 0.828 0.250

Output
Excess energy over the best structure of this formula in the dataset = 80.8 meV/atom
Space-group type = C2/c
ΔE_f = -3.84 eV per atom

***

[5]
A plane-wave DFT calculation with PBE was carried out for a relaxed structure of YTa3O9.

abc: 6.480 7.656 12.616
angles: 90.00 90.00 90.00
Atoms (fractional coordinates):
1 Y 0.058 0.250 0.464
2 Y 0.442 0.750 0.964
3 Y 0.558 0.250 0.036

Please type out the whole of the material further up without additions.

[1]
A plane-wave DFT calculation with PBE was carried out for a relaxed structure of Y2NiIr.

abc: 4.838 4.838 4.838
angles: 60.00 60.00 60.00
Atoms (fractional coordinates):
1 Y 0.250 0.250 0.250
2 Y 0.750 0.750 0.750
3 Ni 0.000 0.000 0.000
4 Ir 0.500 0.500 0.500

Output
Space-group type = Fm-3m
ΔE_f = -0.63 eV per atom

***

[2]
A plane-wave DFT calculation with PBE was carried out for a relaxed structure of Na2SnH14S3O7.

abc: 7.231 9.728 10.322
angles: 92.45 92.07 107.49
Atoms (fractional coordinates):
1 Na 0.195 0.142 0.553
2 Na 0.805 0.858 0.447
3 Na 0.405 0.029 0.847
4 Na 0.595 0.971 0.153
5 Sn 0.073 0.412 0.120
6 Sn 0.927 0.588 0.880
7 H 0.060 0.073 0.285
8 H 0.940 0.927 0.715
9 H 0.240 0.749 0.230
10 H 0.760 0.251 0.770
11 H 0.078 0.667 0.433
12 H 0.922 0.333 0.567
13 H 0.453 0.316 0.748
14 H 0.547 0.684 0.252
15 H 0.565 0.353 0.500
16 H 0.435 0.647 0.500
17 H 0.330 0.159 0.080
18 H 0.670 0.841 0.920
19 H 0.448 0.336 0.368
20 H 0.552 0.664 0.632
21 H 0.554 0.098 0.393
22 H 0.446 0.902 0.607
23 H 0.042 0.358 0.442
24 H 0.958 0.642 0.558
25 H 0.258 0.299 0.813
26 H 0.742 0.701 0.187
27 H 0.775 0.137 0.408
28 H 0.225 0.863 0.592
29 H 0.551 0.240 0.064
30 H 0.449 0.760 0.936
31 H 0.146 0.947 0.309
32 H 0.854 0.053 0.691
33 H 0.169 0.834 0.120
34 H 0.831 0.166 0.880
35 S 0.010 0.161 0.089
36 S 0.990 0.839 0.911
37 S 0.242 0.538 0.314
38 S 0.758 0.462 0.686
39 S 0.772 0.478 0.078
40 S 0.228 0.522 0.922
41 O 0.660 0.058 0.374
42 O 0.340 0.942 0.626
43 O 0.028 0.719 0.501
44 O 0.972 0.281 0.499
45 O 0.472 0.282 0.440
46 O 0.528 0.718 0.560
47 O 0.083 0.011 0.355
48 O 0.917 0.989 0.645
49 O 0.251 0.847 0.201
50 O 0.749 0.153 0.799
51 O 0.326 0.245 0.761
52 O 0.674 0.755 0.239
53 O 0.457 0.143 0.063
54 O 0.543 0.857 0.937

Output
Space-group type = P-1
ΔE_f = -1.22 eV per atom

***

[3]
A plane-wave DFT calculation with PBE was carried out for a relaxed structure of Y8Te3.

abc: 15.810 15.810 24.583
angles: 57.50 57.50 14.81
Atoms (fractional coordinates):
1 Y 0.489 0.489 0.432
2 Y 0.511 0.511 0.568
3 Y 0.666 0.666 0.155
4 Y 0.334 0.334 0.845
5 Y 0.792 0.792 0.133
6 Y 0.208 0.208 0.867
7 Y 0.126 0.126 0.068
8 Y 0.874 0.874 0.932
9 Y 0.803 0.803 0.751
10 Y 0.197 0.197 0.249
11 Y 0.935 0.935 0.056
12 Y 0.065 0.065 0.944
13 Y 0.908 0.908 0.411
14 Y 0.092 0.092 0.589
15 Y 0.829 0.829 0.341
16 Y 0.171 0.171 0.659
17 Y 0.780 0.780 0.605
18 Y 0.220 0.220 0.395
19 Y 0.920 0.920 0.573
20 Y 0.080 0.080 0.427
21 Y 0.265 0.265 0.039
22 Y 0.735 0.735 0.961
23 Y 0.954 0.954 0.720
24 Y 0.046 0.046 0.280
25 Y 0.701 0.701 0.529
26 Y 0.299 0.299 0.471
27 Y 0.349 0.349 0.199
28 Y 0.651 0.651 0.801
29 Y 0.509 0.509 0.090
30 Y 0.491 0.491 0.910
31 Y 0.440 0.440 0.282
32 Y 0.560 0.560 0.718
33 Te 0.630 0.630 0.472
34 Te 0.370 0.370 0.528
35 Te 0.372 0.372 0.031
36 Te 0.628 0.628 0.969
37 Te 0.928 0.928 0.192
38 Te 0.072 0.072 0.808
39 Te 0.555 0.555 0.177
40 Te 0.445 0.445 0.823
41 Te 0.606 0.606 0.314
42 Te 0.394 0.394 0.686
43 Te 0.759 0.759 0.280
44 Te 0.241 0.241 0.720

Output
Space-group type = C2/m
ΔE_f = -0.85 eV per atom

***

[4]
A plane-wave DFT calculation with PBE was carried out for a relaxed structure of Tm2TiO5.

abc: 6.336 6.336 7.501
angles: 68.69 68.69 49.05
Atoms (fractional coordinates):
1 Tm 0.369 0.355 0.749
2 Tm 0.355 0.369 0.249
3 Tm 0.645 0.631 0.751
4 Tm 0.631 0.645 0.251
5 Ti 0.000 0.000 0.500
6 Ti 0.000 0.000 0.000
7 O 0.248 0.608 0.955
8 O 0.608 0.248 0.455
9 O 0.973 0.686 0.641
10 O 0.314 0.027 0.859
11 O 0.686 0.973 0.141
12 O 0.027 0.314 0.359
13 O 0.392 0.752 0.545
14 O 0.828 0.172 0.750
15 O 0.752 0.392 0.045
16 O 0.172 0.828 0.250

Output
Excess energy over the best structure of this formula in the dataset = 80.8 meV/atom
Space-group type = C2/c
ΔE_f = -3.84 eV per atom

***

[5]
A plane-wave DFT calculation with PBE was carried out for a relaxed structure of YTa3O9.

abc: 6.480 7.656 12.616
angles: 90.00 90.00 90.00
Atoms (fractional coordinates):
1 Y 0.058 0.250 0.464
2 Y 0.442 0.750 0.964
3 Y 0.558 0.250 0.036